When the doctor pulls out the prescription pad, most Americans assume the medication has been approved by the US Food and Drug Administration (FDA) for this particular condition. But that may not be the case. The doctor may be prescribing it for what is called off-label use.

The FDA evaluates the safety and effectiveness of a drug for treating a specific condition. Once the drug receives approval, doctors can prescribe it for any condition or any patient, even when those are different from what the FDA approved.

### Records of molecules, as found in the file
~~~
Entry from the Open Molecules 2025 dataset: a molecular structure, C4H20AlB3O2S in a non-equilibrium geometry (ωB97M-V/def2-TZVPD).

```
31
Properties=species:S:1:pos:R:3:forces:R:3:mulliken_spin:R:1
Al -11.54980 -6.45748 31.99006 0.071 1.759 1.141 0.2999
B -14.32957 -6.20032 33.32385 1.846 0.160 -0.236 0.1105
H -15.32777 -6.14925 33.73035 -3.987 0.284 1.351 0.0883
H -14.32739 -7.01158 32.61246 -0.185 -3.457 -3.480 0.0303
H -13.98191 -5.24933 32.95101 1.145 3.936 -1.715 0.0098
H -13.64602 -6.51121 34.09867 2.663 -1.176 3.378 -0.0043
B -9.49531 -6.62170 34.10308 -1.050 0.824 -0.774 0.1086
H -9.88965 -7.53778 33.69134 -1.469 -4.475 -1.925 0.0268
H -9.15266 -5.91241 33.36569 1.566 2.770 -3.210 0.0163
H -10.35088 -6.16020 34.57134 -3.411 1.901 2.042 -0.0044
H -8.71265 -6.77223 34.83041 3.067 -1.035 2.538 0.0662
B -10.85832 -3.78211 30.59035 0.277 -1.564 -0.028 0.0566
H -11.77932 -3.76972 31.15233 -4.364 -0.093 2.294 0.0346
H -10.90409 -4.46485 29.75607 -0.282 -2.377 -3.386 0.0092
H -10.73647 -2.75520 30.28239 0.677 4.001 -1.017 0.0593
H -10.10999 -4.15839 31.27054 3.511 -1.170 2.670 0.0026
C -10.33549 -5.77058 25.67964 -1.404 -0.526 -0.315 -0.0005
C -9.34638 -6.87375 26.13078 -0.918 -0.250 1.342 0.0004
C -10.23237 -7.95237 26.86068 -0.486 0.726 -0.483 -0.0014
S -11.67930 -7.05692 27.64424 1.315 3.503 1.010 0.0143
O -11.41808 -6.78899 29.06124 -0.194 -1.545 -0.661 0.0741
O -12.98376 -7.49251 27.23386 0.274 -0.877 -0.332 0.0003
C -11.30248 -5.39988 26.87496 2.230 -0.723 -0.064 0.0020
H -10.96036 -6.28098 24.94674 -0.214 -0.131 -0.291 0.0000
H -9.94223 -4.94723 25.08339 0.357 0.233 0.668 0.0003
H -8.60415 -6.59784 26.87982 -0.092 0.692 -0.045 0.0000
H -8.76301 -7.34526 25.33992 -0.373 0.086 -0.289 0.0000
H -9.63535 -8.47098 27.61082 -0.521 -0.160 0.035 0.0003
H -10.73757 -8.60157 26.14556 0.259 -0.281 0.080 0.0003
H -10.67748 -4.87809 27.59968 0.026 -0.344 0.490 0.0003
H -12.14350 -4.70946 26.81085 -0.335 -0.691 -0.788 -0.0009
```
Forces are in eV/Å.

Net charge = -1
HOMO-LUMO gap (alpha / beta) = 8.45 / 5.02 eV
2S+1 = 2
E_HOMO (alpha / beta) = -6.272 / -6.165 eV
Energy above the lowest of the compared OMol25 structures with the same formula, charge and spin = 0.000 eV
DFT total energy = -28018.75123 eV

Entry from the Open Molecules 2025 dataset: a molecular structure, C31H42BN6S8Ti (ωB97M-V/def2-TZVPD).

```
89
Properties=species:S:1:pos:R:3:forces:R:3:mulliken_charge:R:1
Ti -0.18274 1.88535 -2.85227 0.412 0.387 0.094 -0.9365
C 4.50327 -0.82571 -3.40195 -0.003 -0.006 -0.011 -1.9266
C 3.66410 -0.77227 -2.16842 -0.007 -0.020 0.028 0.4927
C 4.01277 -1.38881 -1.00986 0.001 0.022 -0.004 -0.4733
C 3.19697 -1.27048 0.14424 -0.014 0.034 -0.012 -0.3180
N 2.06467 -0.62283 0.10063 0.042 -0.020 0.000 -0.0934
N 1.69394 -0.03971 -1.05121 0.006 0.045 -0.023 0.3755
B 0.37963 0.78017 -0.99747 -0.084 -0.114 0.095 0.3804
N -0.89407 -0.07332 -0.67436 0.055 -0.014 -0.029 0.9208
N -0.77464 -1.35585 -0.37947 -0.002 -0.009 -0.014 -1.0005
~~~
### Back to the article

What Is Off-label Use?

Off-label drug use means prescribing a drug for a condition for which it has not received FDA approval. The term also refers to drugs ordered for a different population group, such as children instead of adults, or at a different dose or duration than was determined by the FDA to have a favorable risk-benefit ratio.

"Consumers should be told when they are receiving a drug for off-label use and make an informed decision if they want to accept the risk," says pharmacist Larry Sasich, of the consumer watchdog group Public Citizen, in Washington, DC.

The Approval Process

Since 1938, every drug sold in the United States has received a safety review by the FDA. In 1962, the FDA also became responsible for ensuring a drug's effectiveness.

When seeking approval for a new drug, manufacturers submit results from a series of clinical studies, indicating a specific use for the drug in a specific group of people (such as women or people with ]]>diabetes]]>). The agency only approves a drug to treat conditions specified in the research.

Although the FDA reviews the scientific data very carefully, some side effects will not show up until very large numbers of patients start taking the medication. This is far more people than could ever be studied prior to approval.

Supplemental Approvals

After a drug has been on the market for awhile and new uses become identified, the drug company can conduct scientific research to confirm the safety and effectiveness of the new use and apply for a supplemental approval.

But often long before this happens, doctors begin to experiment with the use of medications for other purposes that seem logical, often based on analogies to similar drugs. For example, if one antidepressant is approved as a treatment for ]]>obsessive-compulsive disorder]]>, doctors may try other antidepressants for the same purposes, even if they haven’t been approved for that use. This type of informal use may or may not eventually lead to formal research.

This is an accepted practice. However, it has some significant problems. One of the most significant is that doctors may incorrectly come to believe that a drug is effective for a given condition. Only double-blind, placebo-controlled studies can distinguish between expectation and the power of suggestion, and specific benefits. Both physicians and patients may incorrectly attribute benefits to a drug simply out of enthusiasm. The net effect is that the patient is placed at risk for side effects without real chance for benefit.

Benefits Versus Risks

Sometimes off-label use is the best possible treatment for a patient. For instance, a chemotherapy drug approved to fight one type of cancer may be given to someone with a different cancer. Or a doctor might order an unapproved combination of drugs to treat someone with ]]>AIDS]]>. In these life-threatening situations, waiting for the additional research is not in the patient's best interest, and the potential benefits outweigh the risks.

The Consequences of Off-label Use

While off-label prescribing is generally considered safe when done by competent physicians, it has also contributed to some well-publicized harms. For example, fenfluramine and dexfenfluramine, two popular and effective anti-]]>obesity]]> drugs, were withdrawn from the market after reports suggested that up to 30% of patients who took these drugs in combination with other medications developed life-threatening changes in their heart valves. While off-label prescribing was not the only issue, this illustrates how the FDA approval process does not guarantee protection from serious adverse events.

What's a Consumer to Do?

Here are some tips for the next time your doctor prescribes a medication:

  • Ask about risks and benefits. Ask your doctor if the drug has been approved for your condition and about the potential benefits and risks involved.
  • Talk to the pharmacist. Often patients don't feel comfortable asking questions about medicine at the doctor's office. Sasich recommends that these consumers ask the pharmacist to review the package insert with them before filling the prescription.
  • Do some research. Look up the drug in the Physicians' Desk Reference or look in our ]]>drug database]]>. Check for three things: whether your condition is an approved use, what the proper dose is, and what the proper duration of use is. You should also check if there are any known interactions with drugs you regularly take.
  • Inquire about other options. If you're not comfortable with a drug that has not been approved by the FDA for your condition, tell your doctor. Ask why he or she thinks you need this particular drug and if there's a similar drug that has been approved that you can take.